Eminently readable, deeply moving, and very revealing...
--Mary Edwards Wertsch, Author, Military Brats: Legacies of Childhood Inside the Fortress
In 1946, the U.S. Military inadvertently conducted one of the most fascinating social science experiments of the 20th century: They began sending thousands of American children from all over the U.S. to live in lands of recent bitter enemies for years at a time, with their parents. One prominent destination was Japan (including Okinawa), a culture as mysterious to America as any on Earth. Whatever happened to those American children in Japan, and the waves of dependents that followed them?

This project answers that question with hundreds of heartfelt stories, photographs, historical & cultural context, and copious research while providing hope for our currently polarized society: That regardless of our differences, we can come together with common cause no matter how daunting the circumstances.

Unrelated to this text: records of crystals:
........
ZrTc2P: relaxed, PBE.

Unit cell a=4.713 b=4.713 c=5.168 alpha=117.07 beta=117.07 gamma=40.11
Element x y z (fractional)
Zr  0.000  0.000  0.000
Tc  0.194  0.194  0.725
Tc  0.411  0.411  0.376
P  0.720  0.720  0.422

Values from the calculation:
- Calculated total energy: -36.296 eV for the cell shown
- Energy relative to the elements: -0.401 eV/atom
- Crystal system: monoclinic

=====

1.
{"formula": "Nd2NbAl2Ru5", "functional": "PBE", "state": "relaxed", "lattice": [[10.288, 0.000, 0.000], [0.000, 10.288, 0.000], [0.000, 0.000, 3.312]], "species": ["Nd", "Nd", "Nd", "Nd", "Nb", "Nb", "Al", "Al", "Al", "Al", "Ru", "Ru", "Ru", "Ru", "Ru", "Ru", "Ru", "Ru", "Ru", "Ru"], "frac_coords": [[0.173, 0.327, 0.000], [0.327, 0.827, 0.000], [0.673, 0.173, 0.000], [0.827, 0.673, 0.000], [0.000, 0.000, 0.000], [0.500, 0.500, 0.000], [0.126, 0.626, 0.000], [0.374, 0.126, 0.000], [0.626, 0.874, 0.000], [0.874, 0.374, 0.000], [0.000, 0.500, 0.500], [0.065, 0.801, 0.500], [0.199, 0.065, 0.500], [0.301, 0.565, 0.500], [0.435, 0.301, 0.500], [0.500, 0.000, 0.500], [0.565, 0.699, 0.500], [0.699, 0.435, 0.500], [0.801, 0.935, 0.500], [0.935, 0.199, 0.500]], "vol_a3_per_atom": 17.53, "spacegroup": "P4/mbm", "formation_energy_ev_per_atom": -0.3391}

***

2.
{"formula": "Nd5HoMg5", "functional": "PBE", "state": "relaxed", "lattice": [[9.128, -2.947, 0.000], [9.128, 2.947, 0.000], [-2.500, 0.000, 6.297]], "species": ["Nd", "Nd", "Nd", "Nd", "Nd", "Ho", "Mg", "Mg", "Mg", "Mg", "Mg"], "frac_coords": [[0.000, 0.000, 0.000], [0.315, 0.315, 0.315], [0.367, 0.367, 0.866], [0.633, 0.633, 0.134], [0.685, 0.685, 0.685], [0.000, 0.000, 0.500], [0.167, 0.167, 0.435], [0.167, 0.167, 0.900], [0.500, 0.500, 0.500], [0.833, 0.833, 0.100], [0.833, 0.833, 0.565]], "vol_a3_per_atom": 30.80, "spacegroup": "C2/m", "formation_energy_ev_per_atom": 0.1346}

***

3.
{"formula": "KLiBiCl6", "functional": "PBE", "state": "relaxed", "lattice": [[6.789, 0.000, 0.000], [-3.394, 5.879, 0.000], [0.000, 0.000, 6.998]], "species": ["K", "Li", "Bi", "Cl", "Cl", "Cl", "Cl", "Cl", "Cl"], "frac_coords": [[0.000, 0.000, 0.000], [0.667, 0.333, 0.500], [0.333, 0.667, 0.500], [0.376, 0.005, 0.716], [0.376, 0.370, 0.284], [0.630, 0.005, 0.284], [0.630, 0.624, 0.716], [0.995, 0.370, 0.716], [0.995, 0.624, 0.284]], "vol_a3_per_atom": 31.03, "e_form_raw_kj_per_mol_atoms": -120, "spacegroup": "P312"}

***

4.
{"formula": "CaRe2Cl", "functional": "PBE", "state": "relaxed", "lattice": [[0.000, 3.282, 3.282], [3.282, 0.000, 3.282], [3.282, 3.282, 0.000]], "species": ["Ca", "Re", "Re", "Cl"], "frac_coords": [[0.000, 0.000, 0.000], [0.250, 0.250, 0.250], [0.500, 0.500, 0.500], [0.750, 0.750, 0.750]], "vol_a3_per_atom": 17.68, "e_form_raw_kj_per_mol_atoms": 85, "spacegroup": "F-43m", "de_polymorph_kj_per_mol_atoms": 97.58}

***

5.
........

Volume I
* Japanese & Okinawan History
* The Allied Occupation
*School Histories
*'Brat Heaven' Feature
* Cultural Comparisons
* Blended Cultures: Stories
* Family Formation Stories
* The Story of Kazuko & Bill
* Journeys to Japan: Stories
(495 pp, plus 500+
photos/images, and
100+ stories/vignettes/profiles)

Japan Brats: The Youth Who Bridged Opposite Worlds, is a monumental labor of love that I—as a former military kid who spent part of my youth in Japan—read with tears in my eyes and a new understanding of the power of representation. Through a kaleidoscopic accretion of experiences and perspectives, Weddington miraculously creates a tribute that will make those of us “born into the military” (who are too often invisible to the culture at large) feel truly seen. Perhaps, for the first time.
—Sarah Bird, author, The Yokota Officers Club and Above the East China Sea. Dublin International Literary Award Finalist; 10-time winner of Austin’s Best Fiction Writer.

Volume II
Daily Life
* Arrival & First Experiences
* On Base Stories
* Off Base Stories
* School Stories
* Social & Family Dynamics
(476 pp, plus 500+ photos/images, and over 100 stories/vignettes/profiles)

Volume III
Transitions & Reflections
* Culture Shock Stories
* Stateside Return Stories
* Those Who Remained
* Impact Upon Adulthood
* Research Findings
* DoD Schools: Extraordinary American Success Story
* Lessons for Our Polarized Times
(460 pp, plus 500+ photos/images, and over 100 stories/vignettes/profiles)

Within the pages of Weddington's sweeping work, you will read the stories (including my own) of over 100 former military youth who had front row seats to the aftermath of a devastating war and ongoing collision of cultures. I like how Weddington adds images to each historical narrative, creating a rich mosaic of life in post-WWII-era Japan, and how those personal experiences shaped the world views and imaginations of the 'military brats' featured in Weddington's book. A compelling read.
—Dorothy Thompson, University of Wisconsin-Richland Director of Marketing and Communication emerita.
With tears in my heart, thank you, Michael Weddington, for Japan Brats: The Youth Who Bridged Opposite Worlds. Read the stories of those of us who lived in post-war Japan, attended schools in converted barracks, sometimes lived in Quonset huts, with odd colored furniture provided for us, and were the forgotten leg of military support around the world. Our clothes were usually ordered weeks before needed from one of the various retail catalogues of the day. We followed our dads for many weeks after we were left behind to move to countries that had recently been our enemy.
We helped our moms sort what would be left in storage for possibly more than three years, what would be sent ahead VIA ship, and what we kept with us for the long weeks as we awaited dependent travel. Our arms were swollen from many shots to face diseases we could not pronounce. In the late 1950s, most of us traveled to our new homes on converted troop carriers. For my mom, brother, and I, it was 21 days aboard the USS Gaffey. That was an experience of itself.
I wouldn't have missed being a military brat for anything in the world. Thank you, United States of America, for the journey of a lifetime. I'm proud of my dad's service to his country from 1940 to 1966, From Normandy to Okinawa and Japan, to various locations in the United States. And now, at last, Michael Weddington has written the story of the Japan military brat.
—Pamela G. Blaxton-Dowd, Advocate: Anoxic brain injury awareness. Author of Condemned to die: Ask me how. Tell me why and A Mother's afterthoughts; Time for change. Volunteer: Oconee County SC Military Museum, specializing in research for SSgt. Lewis G. Watkins, Medal of Honor recipient who lost his life in Korea. Volunteer: Antiques and uniques researcher Habitat for Humanities of Oconee County. Associate Member: Marine Corps League.
Exceptionally captivating, personal, and raw accounts of Third Culture Kids growing up in post-war and mostly pre-internet/social media Japan.
This year marks the 50th Anniversary of American Graffiti, a wildly popular movie about fictional high school kids from a small American town. In his own TCK version, Michael dissects the childhoods of real people from small, military-centric post-war communities within various areas in Japan through intimate, revealing, first-person accounts.
Of course, there are so many more layers to unpack as we try to understand a time and place in history -- one that can never truly be duplicated in the modern world -- and the impact it had on the lives of the subjects. This is deeply personal for me as some are my friends and classmates, and I share many of their experiences. However, the significance of Michael’s body of research extends far beyond our microcosmic society. A must read!
—Margaret Johnson, Co-Chair, Appellate and Complex Litigation Partner; Bob Hope USO Board Member; Chair of the Los Angeles County Bar Association’s Armed Forces Committee.
Extraordinarily charming, fascinating, and personal narratives of stories of living in Japan in post-WWII. This book explores the “Lost in Translation” episodes of youth’s reckoning in a foreign culture at a pivotal time of post-nationalism Japan.
As a product of bi-cultural, bi-racial, and military experiences, I can fully appreciate Michael’s wonderful foray into the examination and research of post-war adolescence in Japan. His escapade into the topsy-turvy lives of military and civilian experiences juxtaposes the challenges of military-brats’ assimilation into a foreign culture while navigating and struggling through pubescent transformation. His assembly and collection of anecdotal narratives of finding oneself in an unfamiliar and yet exotic and exciting settings, portends the benefits of personal growth derived from those experiences.
Whether it is the dismemberment of racial biases or acceptance of living in an integrative microcosm of a post-civil rights community, the bottom line is sometimes it takes an excursion into uncharted experiences and territory to expunge prejudice and prejudgment. A must read for people who grew up abroad in a military family.
—GJ Moore, Naval Academy graduate, former Naval aviator, strategy management consultant, Harvard MBA, Tech entrepreneur, and author of Delicate Balance: A Nanotechnology Thriller.
A great, important, and captivating read. Japan Brats: The Youth Who Bridged Opposite Worlds, occupies a unique place in the world of Third Culture Kid (TCK) writings. It is perhaps the most longitudinal study done to document long term outcomes of those who were raised among many different cultural worlds—not only geographically, but within the culture of the military system itself.
Although it is based on extensive research in a particular cohort, I found the charm of Michael Weddington’s writing to be how he writes the results of that research in storybook form rather than a manual. Yet, within each story is embedded various recountings of common characteristics David C. Pollock later identified as part of his classic ‘TCK Profile.’ Most adult TCKs will surely nod their heads (as I did!) in empathetic understanding when reading of the struggle to return to their passport country or the delight in finding their past and present worlds come together in a particular cuisine.
But there is a sober reminder in these set of books as well. Certainly, every person’s life is lived within the context of their time in history and the surrounding culture in which they were raised. Many TCKs however, live in the places where the events they see first-hand will one day be in their children or their grandchildren’s history books. Reading this work made clear again that real people just like me are always involved in the horrors of war and its aftermath. Seeing it through the eyes of children makes it even more poignant.
It is also a story of resilience and hope—that this is not where people are stuck. The amazing ways that Japan Brats have knit together the many pieces of their multi-cultured upbringing for their personal good, for the good of others, and for the good of international understanding despite initially seeing those they went to and being seen by them as the ‘enemy,’ gives hope. With their example before us, we can dare to believe the struggles each of us face daily in our current world can become the foundation for growth and healing for us as it was for them.
Thank you, Michael and all who participated in this work.
–Ruth E. Van Reken, Co-author, Third Culture Kids: Growing Up Among Worlds, 3rd ed.; Co-founder, Families in Global Transition; Vice-Chair, Safe Passage Across Network (SPAN) Governing Board.
Eminently readable, deeply moving, and very revealing, Japan Brats: The Youth Who Bridged Opposite Worlds is an important contribution to the literature concerning military families, with applicability also to studies of adolescence, cultural transition, military occupation, family dynamics, and the development of self in relation to society. This remarkable project holds a mirror to a previously missing piece of history.
The testimonies gathered here are precious. Not only that, but the author has done exhaustive work to put these stories into historical and social context--an effort which greatly rewards anyone seeking to understand the period covered, or gain insight into military brat cultural identity. Thank you, Michael Weddington, for shining a light on this extraordinary part of the brat experience. Well done!
—Mary Edwards Wertsch, author, Military Brats: Legacies of Childhood Inside the Fortress.
As the founder of a museum dedicated to military family history, I am delighted that Michael Weddington has created such a comprehensive and thoughtful look into the culture, history, and stories of military children who grew up in Japan from 1946 to the present. Japan Brats: The Youth Who Bridged Opposite Worlds examines military brats’ experiences by presenting a range of perspectives grouped by theme and topic. Part history lesson, part memoir, part anthropological dig, the wealth of information in this 3-part series of books are viewed through a long lens, providing a big picture of historical and cultural context, as well as a macro lens, revealing the minute details in an individual life, creating a thought-provoking and rich read.
Based on four years of intensive research and hundreds of lifetimes of experience, Japan Brats is an excellent resource for anyone wanting to know more about America’s unseen Ambassadors—the military children—or relive their own brathood vicariously. Hundreds of military-connected historians, educators, veterans, and family members have contributed data, photos, and stories to these books. To get a complete picture of history, it should be presented from all viewpoints. This work is the brat’s perspective.
—Dr. Circe Olson Woessner, Founder, Museum of the American Military Family & Learning Center.

**Misplaced materials data:**
Density functional theory data (GGA+U) for crystalline Li2Mn2P4H3O16 at its relaxed geometry.

## Properties
electronic total energy: -180.3 eV per formula unit
volume: 285.6 Å³/cell
mass density: 2.9 Mg/m³

```
data_Li2Mn2P4H3O16
_cell_length_a 4.8534
_cell_length_b 7.3797
_cell_length_c 8.2545
_cell_angle_alpha 87.19
_cell_angle_beta 89.95
_cell_angle_gamma 75.27
_space_group_name_H-M_alt 'P 1'
_space_group_IT_number 1
loop_
_space_group_symop_operation_xyz
'x,y,z'
loop_
_atom_site_label
_atom_site_type_symbol
_atom_site_fract_x
_atom_site_fract_y
_atom_site_fract_z
Li1 Li 0.0000 0.0000 0.0000
Li2 Li 0.1872 0.7159 0.7229
Mn1 Mn 0.0801 0.8675 0.3609
Mn2 Mn 0.5936 0.3639 0.8682
P1 P 0.2131 0.1173 0.7193
P2 P 0.4635 0.1352 0.2081
P3 P 0.7081 0.6009 0.5176
P4 P 0.9593 0.6235 0.0076
H1 H 0.1405 0.3690 0.3207
H2 H 0.6198 0.8510 0.8543
H3 H 0.9203 0.2834 0.4917
O1 O 0.0266 0.6940 0.1674
O2 O 0.0950 0.1020 0.5493
O3 O 0.2201 0.5233 0.9062
O4 O 0.2355 0.0216 0.1941
O5 O 0.3315 0.3346 0.2683
O6 O 0.3355 0.9215 0.8022
O7 O 0.4352 0.2362 0.7065
O8 O 0.4558 0.7166 0.4176
O9 O 0.5852 0.1636 0.0363
O10 O 0.6104 0.5545 0.6907
O11 O 0.7073 0.0335 0.3224
O12 O 0.7433 0.5023 0.0264
O13 O 0.8385 0.8044 0.8898
O14 O 0.8463 0.4164 0.4299
O15 O 0.9355 0.7160 0.5324
O16 O 0.9697 0.2122 0.8368
```

~~~~~

## Cs3InI (GGA-PBE)

Data for crystalline Cs3InI at its relaxed geometry.

Output
N(E_F) = 4.03 states/eV per cell

Structure (CIF):
```
data_Cs3InI
_chemical_formula_sum 'Cs3 In1 I1'
_cell_length_a 7.286
_cell_length_b 7.286
_cell_length_c 7.286
_cell_angle_alpha 90.00
_cell_angle_beta 90.00
_cell_angle_gamma 90.00
_symmetry_space_group_name_H-M 'P m -3 m'
_symmetry_Int_Tables_number 221
_symmetry_space_group_name_Hall '-P 4 2 3'
loop_
_atom_site_label
_atom_site_type_symbol
_atom_site_fract_x
_atom_site_fract_y
_atom_site_fract_z
_atom_site_occupancy
Cs1 Cs 0.000 0.000 0.500 1
In1 In 0.000 0.000 0.000 1
I1 I 0.500 0.500 0.500 1
```

=====

## CsIn4I12 (GGA-PBE)

Data for crystalline CsIn4I12 at its relaxed geometry.

Output
N(E_F) = 8.60 states/eV per cell

Structure (CIF):
```
data_CsIn4I12
_chemical_formula_sum 'Cs2 In8 I24'
_cell_length_a 11.397
_cell_length_b 11.397
_cell_length_c 11.397
_cell_angle_alpha 90.00
_cell_angle_beta 90.00
_cell_angle_gamma 90.00
_symmetry_space_group_name_H-M 'I m -3'
_symmetry_Int_Tables_number 204
_symmetry_space_group_name_Hall '-I 2 2 3'
loop_
_atom_site_label
_atom_site_type_symbol
_atom_site_fract_x
_atom_site_fract_y
_atom_site_fract_z
_atom_site_occupancy
Cs1 Cs 0.000 0.000 0.000 1
In1 In 0.250 0.250 0.250 1
I1 I 0.000 0.307 0.185 1
```

=====

## CsIn2I2 (GGA-PBE)

Data for crystalline CsIn2I2 at its relaxed geometry.

Output
N(E_F) = 2.03 states/eV per cell

Structure (CIF):
```
data_CsIn2I2
_chemical_formula_sum 'Cs2 In4 I4'
_cell_length_a 4.517
_cell_length_b 4.517
_cell_length_c 20.682
_cell_angle_alpha 90.00
_cell_angle_beta 90.00
_cell_angle_gamma 90.00
_symmetry_space_group_name_H-M 'I 4/m m m'
**End of the materials data:**

Why This Project
What does it mean to belong to others in this increasingly disconnected time? When simply clicking a "like" button on your phone or keyboard counts as a connection? What do the concepts of "home" and "hometown" mean when our homes, towns, regions, and nation are as divided as they've been since at least the late 1960s, if not the Civil War era? As a father and counselor of youth, these questions have had personal relevance. Then in 2019, it began to occur to me that perhaps some answers that could address our polarized age today might be found in my "military brat" past, when my peers and I bonded across lines of geography, class, race, ethnicity, and religion. Thus began this project, and the results (with a great deal of support and cooperation) are now available for your consideration. Enjoy. MW
My Story
Some military brats settle down and establish roots of the kind they never knew growing up. Myself, I remained the peripatetic military dependent during my working life as well, moving from teaching to outdoor community entrepreneurial endeavors. Then, on to the financial world, before returning to school and teaching & advising students and adults in various settings. Most significantly, I launched a family with my lovely wife, resulting in our beautiful daughter. In looking back at my life in recent years, I've realized the common theme threading its way through my many positions and projects: The desire to bring people together to make a positive difference, borne of a sense of purpose instilled in me as a military kid. MW